Be yourself online

Do you avoid putting personal information online because you can’t control how it’s viewed or used once you’ve hit “post”?

Your old Myspace profile might prove difficult to explain in a job interview, but recent evidence suggests it could actually stop you getting that far. Worse: as your name is almost certainly not unique, a case of mistaken identity could easily cause someone else’s website to have the same effect!

It’s never been easier to upload your private details to the web, so it’s no surprise that the phenomenon of googling is becoming correspondingly widespread. In 2005, 43 percent of people who answered a dating-service survey said they type their date’s name into a search engine before they go out. Previous polls have revealed that 23% of US adults admit to searching online for information about someone with whom they have a work relationship.

~~~
[1]
# AlO3

AlO3 after structural relaxation (PBE, the Materials Project).

POSCAR file:
```
AlO3
1.0
1.020 3.585 3.789
-3.579 1.250 3.725
0.636 -1.391 5.090
O Al
6 2
Direct
0.222 0.750 0.278
0.778 0.250 0.722
0.750 0.278 0.222
0.278 0.222 0.750
0.722 0.778 0.250
0.250 0.722 0.778
0.000 0.000 0.000
0.500 0.500 0.500
```

- space-group type = R-3c
- ρ (g/cm3) = 2.5
- total DFT energy (no corrections) (eV per atom) = -5.72

[2]
# Al8O3

Al8O3 after structural relaxation (PBE, the Materials Project).

POSCAR file:
```
Al8O3
1.0
5.730 0.023 -0.078
2.884 4.960 -0.100
-0.674 -0.618 49.637
O Al
12 32
Direct
0.036 0.090 0.360
0.845 0.811 0.278
0.340 0.889 0.403
0.180 0.662 0.333
0.139 0.115 0.303
0.631 0.125 0.322
0.597 0.578 0.365
0.333 0.344 0.281
0.082 0.595 0.387
0.632 0.606 0.303
0.582 0.102 0.389
0.870 0.387 0.409
0.218 0.240 0.397
0.000 0.500 0.143
0.357 0.340 0.240
0.671 0.164 0.189
0.704 0.733 0.393
0.245 0.746 0.371
0.679 0.669 0.190
0.350 0.838 0.234
0.333 0.833 0.095
0.664 0.168 0.049
0.164 0.668 0.049
0.492 0.500 0.001
0.992 0.499 0.002
0.163 0.166 0.049
0.438 0.462 0.310
0.000 0.000 0.143
0.173 0.665 0.190
0.992 0.000 0.001
0.178 0.167 0.189
0.833 0.333 0.095
0.851 0.329 0.234
0.500 0.500 0.143
0.833 0.833 0.095
0.980 0.004 0.325
0.509 0.967 0.295
0.663 0.666 0.049
0.956 0.440 0.283
0.851 0.844 0.241
0.500 0.000 0.143
0.492 0.999 0.001
0.752 0.268 0.381
0.333 0.333 0.095
```

- space-group type = P1
- ρ (g/cm3) = 1.2
- total DFT energy (no corrections) (eV per atom) = -5.28

[3]
# AlO3

AlO3 after structural relaxation (PBE, the Materials Project).

POSCAR file:
```
AlO3
1.0
7.652 -0.002 -1.463
6.750 3.604 -1.463
0.000 0.000 2.972
Al O
2 6
Direct
0.843 0.543 0.695
0.457 0.157 0.305
0.518 0.258 0.890
0.742 0.482 0.110
0.366 0.070 0.717
0.930 0.634 0.283
0.962 0.107 0.911
0.893 0.038 0.089
```

- space-group type = C2
- ρ (g/cm3) = 3.0
- total DFT energy (no corrections) (eV per atom) = -6.28

* * * * *

(1)
NdSiPd2 after structural relaxation. Source: Materials Project, functional r2SCAN.

Cell and atoms, written as CIF:
```
data_NdSiPd2
_cell_length_a 7.543
_cell_length_b 6.913
_cell_length_c 5.687
_cell_angle_alpha 90.00
_cell_angle_beta 90.00
_cell_angle_gamma 90.00
_space_group_name_H-M_alt 'P n m a'
_space_group_IT_number 62
_space_group_name_Hall '-P 2ac 2n'
loop_
_atom_site_label
_atom_site_type_symbol
_atom_site_fract_x
_atom_site_fract_y
_atom_site_fract_z
Nd1 Nd 0.031 0.250 0.146
Si1 Si 0.126 0.750 0.351
Pd1 Pd 0.174 0.052 0.593
```

Summary:
DFT formation energy   -945 meV/atom
Uncorrected energy   -351.6 eV for the cell shown

(2)
GdZnGe after structural relaxation. Source: Materials Project, functional r2SCAN.

Cell and atoms, written as CIF:
```
data_GdZnGe
_cell_length_a 4.2186
_cell_length_b 4.2186
_cell_length_c 16.0248
_cell_angle_alpha 90.00
_cell_angle_beta 90.00
_cell_angle_gamma 120.00
_space_group_name_H-M_alt 'P 63/m m c'
_space_group_IT_number 194
_space_group_name_Hall '-P 6c 2c'
loop_
_atom_site_label
~~~
The records of crystals stop here

To retain their privacy, people have traditionally hidden behind pseudonymous nicknames on the Internet, but this solution is far from ideal and is certainly not reliable. Besides, the rise and rise of blogging and social networking sites is pushing people to use their real details for both business and pleasure online.

So given that a gradual reduction in online privacy seems inevitable, how can you manage the issue of search engine misunderstandings in the Web2.0 age?

# Crystal structures from another source follow
'''
VASP calculation (PBE-GGA) on Mg3Pd after structural relaxation.

Summary:
calculated total energy	-23.3	eV/cell

The structure in POSCAR format:
```
Mg3Pd
1.0
4.660 -0.426 0.147
-2.708 -3.153 2.156
-0.199 -4.583 -6.953
Pd Mg
2 6
direct
0.667 0.333 0.250
0.333 0.667 0.750
0.000 0.000 0.250
0.333 0.667 0.424
0.667 0.333 0.576
0.667 0.333 0.924
0.333 0.667 0.076
0.000 0.000 0.750
```

~~~~~

(1)
Entry from the Materials Project: a relaxed structure of Li3Mo4P9O32 (PBE with a Hubbard U).

Summary:
spin magnetization = 8.00 μB per formula unit
corrected total energy (MP2020 scheme) = -753.9 eV per cell
formation energy from the elements = -2.5167 eV/atom

abc: 14.0233 14.0233 6.4732
angles: 90.00 90.00 90.00
Atoms (fractional coordinates):
Li  0.0000  0.0000  0.0000
Li  0.0000  0.5000  0.1367
Li  0.0000  0.5000  0.6367
Li  0.5000  0.0000  0.3633
Li  0.5000  0.0000  0.8633
Li  0.5000  0.5000  0.5000
Mo  0.1212  0.1967  0.6229
Mo  0.1967  0.8788  0.3771
Mo  0.3033  0.3788  0.1229
Mo  0.3788  0.6967  0.8771
Mo  0.6212  0.3033  0.8771
Mo  0.6967  0.6212  0.1229
Mo  0.8033  0.1212  0.3771
Mo  0.8788  0.8033  0.6229
P  0.0000  0.0000  0.5000
P  0.0603  0.6922  0.3871
P  0.1011  0.2475  0.1309
P  0.1922  0.5603  0.8871
P  0.2475  0.8989  0.8691
P  0.2525  0.3989  0.6309
P  0.3078  0.0603  0.6129
P  0.3989  0.7475  0.3691
P  0.4397  0.1922  0.1129
P  0.5000  0.5000  0.0000
P  0.5603  0.8078  0.1129
P  0.6011  0.2525  0.3691
P  0.6922  0.9397  0.6129
P  0.7475  0.6011  0.6309
P  0.7525  0.1011  0.8691
P  0.8078  0.4397  0.8871
P  0.8989  0.7525  0.1309
P  0.9397  0.3078  0.3871
O  0.0076  0.7247  0.1720
O  0.0092  0.7457  0.5639
O  0.0566  0.5857  0.3979
O  0.0591  0.9364  0.3513
O  0.0636  0.0591  0.6487
O  0.0857  0.5566  0.8979
O  0.0972  0.1873  0.9324
O  0.1338  0.1833  0.3093
O  0.1582  0.3389  0.1077
O  0.1611  0.3418  0.6077
O  0.1609  0.7377  0.3596
O  0.1833  0.8662  0.6907
O  0.1873  0.9028  0.0676
O  0.2247  0.5076  0.6720
O  0.2377  0.6609  0.8596
O  0.2457  0.5092  0.0639
O  0.2543  0.0092  0.4361
O  0.2623  0.1609  0.6404
O  0.2753  0.0076  0.8280
O  0.3127  0.4028  0.4324
O  0.3167  0.3662  0.8093
O  0.3391  0.2377  0.1404
O  0.3389  0.8418  0.8923
O  0.3418  0.8389  0.3923
O  0.3662  0.6833  0.1907
O  0.4028  0.6873  0.5676
O  0.4143  0.0566  0.6021
O  0.4364  0.5591  0.8513
O  0.4409  0.4364  0.1487
O  0.4434  0.0857  0.1021
O  0.4908  0.2457  0.9361
O  0.4924  0.2247  0.3280
O  0.5076  0.7753  0.3280
O  0.5092  0.7543  0.9361
O  0.5566  0.9143  0.1021
O  0.5591  0.5636  0.1487
O  0.5636  0.4409  0.8513
O  0.5857  0.9434  0.6021
O  0.5972  0.3127  0.5676
O  0.6338  0.3167  0.1907
O  0.6582  0.1611  0.3923
O  0.6611  0.1582  0.8923
O  0.6609  0.7623  0.1404
O  0.6833  0.6338  0.8093
O  0.6873  0.5972  0.4324
O  0.7247  0.9924  0.8280
O  0.7377  0.8391  0.6404
O  0.7457  0.9908  0.4361
O  0.7543  0.4908  0.0639
O  0.7623  0.3391  0.8596
O  0.7753  0.4924  0.6720
O  0.8127  0.0972  0.0676
O  0.8167  0.1338  0.6907
O  0.8391  0.2623  0.3596
'''
# Here the piece continues

This is the problem that a new service called ClaimID has set out to address. Just out of beta and now open for public registration, the site allows you to collate on a profile page links that are either about you, by you, or both. This page is then presented to visitors arriving from search engines, together with your comments and other information about the sites you’ve “claimed”. In this way, you can add commentry and context to your online information, and even to articles about you that were posted by others.

Interestingly, you can also post comments about links that do not relate to you. This helps to distinguish between namesakes and avoid cases of mistaken identity.

ClaimID provides some reassurance that, however much information you have “out there”, you can keep control of how it’s being interpreted. Turning the tables, it also helps to ensure you’re getting the real story when a search for someone in whom you’re interested turns up a hit on the site!

The service already supports emerging standards such as MicroID, hcards and OpenID, and further improvements to these facilities are expected as the site matures. Greater scope for personalisation would be a nice touch though: profile page layouts and formatting are currently fixed. However it can’t be long before customisation options are provided; possibly even the ability to integrate pages into your existing website or blog.

ClaimID fills a clear and growing need for online identity management, and goes some way towards redressing the balance of power between you and the search engines. If you’d like to shake off your net handle and claim back your online identity, you could do worse than starting here.